Brief =
The reader should say how many lines of the entries below hold the word "for", as a bare number.

Given =
+++
(1)
DFT (GGA-PBE) results for a relaxed Cu2AsOs crystal.

The total moment comes out at 0.0000 μB per atom. The formation energy comes out at 0.24 eV/atom. The calculation puts the density of states at the Fermi level at 5.576 states/eV/cell.

Geometry as POSCAR:
```
Cu2AsOs
1.0
8.835 0.000 0.000
0.000 3.012 0.000
-1.655 0.000 4.176
Cu As Os
4 2 2
Direct
0.000 0.000 0.000
0.246 0.500 0.098
0.500 0.500 0.000
0.746 0.000 0.098
0.231 0.000 0.580
0.731 0.500 0.580
0.000 0.500 0.509
0.500 0.000 0.509
```

---

(2)
DFT (GGA-PBE) results for a relaxed CuAsOs2 crystal.

The total moment comes out at 0.0000 μB per atom. The formation energy comes out at 0.71 eV/atom. The calculation puts the density of states at the Fermi level at 7.036 states/eV/cell.

Geometry as POSCAR:
```
CuAsOs2
1.0
2.730 0.000 0.000
0.000 4.670 0.000
0.000 0.000 9.347
Cu As Os
2 2 4
Direct
0.000 0.000 0.000
0.500 0.500 0.000
0.000 0.000 0.500
0.500 0.500 0.500
0.000 0.500 0.236
0.000 0.500 0.764
0.500 0.000 0.236
0.500 0.000 0.764
```

---

(3)
DFT (GGA-PBE) results for a relaxed CuAs2Os crystal.

The value obtained for the energy relative to the lowest polymorph listed for this composition is 10.2 kJ per mole of atoms. The total moment comes out at 0.0000 μB per atom. The formation energy comes out at 0.28 eV/atom. The calculation puts the density of states at the Fermi level at 3.573 states/eV/cell.

Geometry as POSCAR:
```
CuAs2Os
1.0
3.013 0.000 0.000
0.000 3.760 0.000
0.000 0.000 12.526
Cu As Os
2 4 2
Direct
0.000 0.000 0.000
0.500 0.500 0.500
0.000 0.000 0.514
0.000 0.500 0.263
0.500 0.000 0.763
0.500 0.500 0.014
0.000 0.500 0.848
0.500 0.000 0.348
```

---

(4)
DFT (GGA-PBE) results for a relaxed CuAs2Os crystal.

The value obtained for the energy relative to the lowest polymorph listed for this composition is 7.6 kJ per mole of atoms. The total moment comes out at 0.0000 μB per atom. The formation energy comes out at 0.26 eV/atom. The calculation puts the density of states at the Fermi level at 2.685 states/eV/cell.

Geometry as POSCAR:
```
CuAs2Os
1.0
3.130 0.000 0.000
0.000 3.130 0.000
0.000 0.000 7.239
Cu As Os
1 2 1
Direct
0.000 0.000 0.000
0.000 0.000 0.400
0.500 0.500 0.842
0.500 0.500 0.215
```

---

(5)
DFT (GGA-PBE) results for a relaxed CuAsOs2 crystal.

The total moment comes out at 0.0000 μB per atom. The formation energy comes out at 0.41 eV/atom. The calculation puts the density of states at the Fermi level at 2.757 states/eV/cell.

Geometry as POSCAR:
```
CuAsOs2
1.0
2.844 0.000 0.000
0.000 3.759 0.000
0.000 0.000 5.398
Cu As Os
1 1 2
Direct
0.000 0.000 0.000
0.500 0.500 0.759
0.000 0.000 0.479
0.500 0.500 0.252
```

---

(6)
DFT (GGA-PBE) results for a relaxed Cu2AsOs2 crystal.

The value obtained for the energy relative to the lowest polymorph listed for this composition is 0.0 kJ per mole of atoms. The total moment comes out at 0.0000 μB per atom. The formation energy comes out at 0.43 eV/atom. The calculation puts the density of states at the Fermi level at 6.026 states/eV/cell.

Geometry as POSCAR:
```
Cu2AsOs2
1.0
6.178 0.000 0.000
0.000 6.178 0.000
0.000 0.000 3.990
Cu As Os
4 2 4
Direct
0.158 0.342 0.000
0.342 0.842 0.000
0.658 0.158 0.000
0.842 0.658 0.000
0.000 0.000 0.500
0.500 0.500 0.500
0.142 0.642 0.500
0.358 0.142 0.500
0.642 0.858 0.500
0.858 0.358 0.500
```

---

Q: Look up the total moment of the second one.
A: 0.0000 μB per atom

=====

Record 1
# Zr2HPd2, relaxed, DFT GGA-PBE
data_Zr2HPd2
_chemical_formula_sum 'Zr4 H2 Pd4'
_symmetry_space_group_name_H-M 'P 4/m b m'
_symmetry_Int_Tables_number 127
_symmetry_space_group_name_Hall '-P 4 2ab'
_cell_length_a 5.980
_cell_length_b 5.980
_cell_length_c 4.632
_cell_angle_alpha 90.00
_cell_angle_beta 90.00
_cell_angle_gamma 90.00
loop_
_atom_site_label
_atom_site_type_symbol
_atom_site_fract_x
_atom_site_fract_y
_atom_site_fract_z
Zr1 Zr 0.172 0.328 0.000
H1 H 0.000 0.000 0.000
Pd1 Pd 0.158 0.658 0.500
# Energy above the most stable polymorph in this dataset in meV/atom: 0

---
+++

Solution =
9